Wanted:
The reader should write out only the lines below with the word "computed" in them.
Material:
Record 1
Ca8Ti3Mn5O21 | PBE+U | optimized geometry

```
37
Lattice="7.807 0.000 0.000 0.000 7.823 0.000 -0.023 0.000 7.880" Properties=species:S:1:pos:R:3 pbc="T T T"
Ca 0.000 1.635 0.000
Ca 0.000 6.188 0.000
Ca 3.506 1.687 0.305
Ca 3.506 6.136 0.305
Ca 4.012 1.963 4.478
Ca 4.012 5.860 4.478
Ca 7.645 1.829 4.320
Ca 7.645 5.994 4.320
Ti 1.915 3.912 2.200
Ti 5.979 3.912 6.400
Ti 6.212 3.912 2.185
Mn 1.790 0.000 2.206
Mn 1.911 0.000 6.056
Mn 2.047 3.912 5.943
Mn 5.754 0.000 2.369
Mn 5.783 0.000 6.252
O 0.087 3.912 2.852
O 1.609 0.000 0.177
O 1.780 1.939 2.091
O 1.780 5.884 2.091
O 1.923 1.897 5.811
O 1.923 5.926 5.811
O 2.649 3.912 0.426
O 2.930 3.912 3.644
O 3.776 0.000 1.956
O 3.817 0.000 6.490
O 4.229 3.912 5.850
O 5.391 0.000 4.269
O 5.563 2.344 2.767
O 5.563 5.480 2.767
O 5.920 1.944 6.273
O 5.920 5.879 6.273
O 6.235 0.000 0.446
O 6.530 3.912 0.348
O 7.629 3.912 5.557
O 7.759 0.000 2.844
O 7.774 0.000 5.881
```

Properties
ΔE to the lowest computed polymorph: 0.0287 eV/atom
uncorrected energy: -7.4096 eV/atom
formation energy: -2905 meV per atom
SG: Pm
M_tot: 21.00 μB per formula unit

Record 2
LiMnNbO4 | PBE+U | optimized geometry

```
28
Lattice="6.280 0.000 0.000 0.000 6.288 0.000 0.000 0.000 8.637" Properties=species:S:1:pos:R:3 pbc="T T T"
Li 0.000 1.400 2.159
Li 0.000 4.889 6.478
Li 1.397 0.000 4.319
Li 4.883 0.000 0.000
Mn 1.608 1.608 7.551
Mn 1.608 4.680 1.086
Mn 4.672 1.608 5.405
Mn 4.672 4.680 3.232
Nb 1.376 3.144 4.319
Nb 3.140 1.379 2.159
Nb 3.140 4.909 6.478
Nb 4.904 3.144 0.000
O 0.169 1.670 4.347
O 0.169 4.618 4.290
O 1.667 0.171 2.131
O 1.667 6.117 6.506
O 1.688 3.032 2.328
O 1.688 3.257 6.309
O 3.029 1.690 4.150
O 3.029 4.598 4.487
O 3.251 1.690 0.168
O 3.251 4.598 8.469
O 4.592 3.032 1.991
O 4.592 3.257 6.647
O 4.613 0.171 2.187
O 4.613 6.117 6.450
O 6.111 1.670 8.609
O 6.111 4.618 0.028
```

Properties
ΔE to the lowest computed polymorph: 0.0000 eV/atom
uncorrected energy: -7.8809 eV/atom
formation energy: -2660 meV per atom
SG: P222_1
maximum piezoelectric response: 0.1 C/m2
M_tot: 0.00 μB per formula unit

Record 3
MnH4Cl2O2 | PBE+U | optimized geometry

```
9
Lattice="3.847 -4.425 0.000 3.847 4.425 0.000 -0.799 0.000 3.662" Properties=species:S:1:pos:R:3 pbc="T T T"
Mn 0.000 0.000 0.000
H 2.479 1.677 3.113
H 4.416 1.677 0.549
H 2.479 -1.677 3.113
H 4.416 -1.677 0.549
Cl 1.362 0.000 2.166
Cl 5.533 0.000 1.496
O 3.847 2.266 0.000
O 3.847 -2.266 0.000
```

Properties
uncorrected energy: -4.9899 eV/atom
formation energy: -1292 meV per atom
SG: C2/m
M_tot: 5.00 μB per formula unit

Record 4
Li4V3P8O29 | PBE+U | optimized geometry

```
88
Lattice="8.494 -4.856 0.000 8.494 4.856 0.000 -0.364 0.000 14.366" Properties=species:S:1:pos:R:3 pbc="T T T"
Li 8.312 4.302 7.183
Li 2.747 0.598 7.867
Li 2.929 -0.598 0.684
Li 9.061 2.229 13.321
Li 13.890 0.686 13.300
Li 9.243 -2.229 6.138
Li 14.072 -0.686 6.117
Li 8.494 -4.302 0.000
V 3.536 2.135 10.679
V 4.865 2.719 3.304
V 3.718 -2.135 3.496
V 8.348 0.594 10.618
V 8.530 -0.594 3.435
V 4.683 -2.719 10.487
P 6.485 2.997 11.814
P 2.752 0.676 4.770
P 7.822 2.373 4.627
P 2.570 -0.676 11.953
P 10.199 2.975 9.385
P 9.297 2.274 2.046
P 5.498 0.057 8.952
P 5.680 -0.057 1.769
P 11.211 0.061 12.274
P 11.392 -0.061 5.090
P 6.667 -2.997 4.631
P 7.640 -2.373 11.810
P 14.369 0.707 2.024
P 9.115 -2.274 9.229
P 10.380 -2.975 2.202
P 14.187 -0.707 9.207
O 1.739 1.032 3.576
O 1.727 0.934 1.058
O 2.097 1.084 6.059
O 6.700 3.740 10.386
O 5.115 2.248 11.684
O 6.312 2.800 4.592
O 2.793 0.858 11.868
O 4.072 1.415 4.477
O 4.211 0.686 9.636
O 5.716 1.440 2.341
O 8.425 2.943 3.233
O 1.545 -0.934 8.241
O 8.509 2.975 5.788
O 1.557 -1.032 10.759
O 8.779 2.730 0.724
O 1.915 -1.084 13.242
O 7.633 1.968 11.892
O 2.975 -0.858 4.685
O 5.323 0.090 7.480
O 4.393 -0.686 2.453
O 5.505 -0.090 0.297
O 6.727 0.731 9.571
O 10.755 2.845 2.246
O 9.087 1.918 9.459
O 7.892 0.822 4.514
O 3.890 -1.415 11.660
O 11.588 2.276 9.459
O 9.313 0.767 2.286
O 6.909 -0.731 2.388
O 5.534 -1.440 9.524
O 9.923 0.799 11.821
Here it is:
ΔE to the lowest computed polymorph: 0.0287 eV/atom
ΔE to the lowest computed polymorph: 0.0000 eV/atom